Like other leadership styles, the autocratic style has both some benefits and some weaknesses. While those who rely on this approach to heavily are often seen as bossy or dictator-like, this level of control can have benefits and be useful in certain situations. When and where the authoritarian style is most useful can depend on factors such as the situation, the type of task the group is working on, and characteristics of the team members. If you tend to utilize this type of leadership with a group, learning more about your style and the situations in which this style is the most effective can be helpful.


Some of the primary characteristics of autocratic leadership include:

Allows little or no input from group membersRequires leaders to make almost all of the decisionsProvides leaders with the ability to dictate work methods and processesLeaves group feeling like they aren’t trusted with decisions or important tasksTends to create highly structured and very rigid environmentsDiscourages creativity and out-of-the box thinkingEstablishes rules and tends to be clearly outlined and communicated


The autocratic style tends to sound quite negative. It certainly can be when overused or applied to the wrong groups or situations. However, autocratic leadership can be beneficial in some instances, such as when decisions need to be made quickly without consulting with a large group of people. Some projects require strong leadership to get things accomplished quickly and efficiently. When the leader is the most knowledgeable person in the group, the autocratic style can lead to fast and effective decisions. The autocratic leadership style can be useful in the following instances:

**Between two parts of the text: crystal structures**
-- begin --
This record from the Materials Project database describes a relaxed structure of Rb3Au3Cl8. The functional is meta-GGA r2SCAN.

E	-18.520	eV per atom
size of the total moment	0.0	μB/f.u.

Unit cell a=12.0020 b=7.5544 c=18.1785 alpha=90.00 beta=99.48 gamma=90.00
Closest atoms and distances in Å follow each position.
Space group C2/c (No. 15)
Asymmetric unit:
Rb 0.0000 0.0166 0.2500 (multiplicity 4)  6 Cl 3.25-3.55
Rb 0.1843 0.5002 0.0813 (multiplicity 8)  7 Cl 3.30-3.61
Au 0.0000 0.0000 0.0000 (multiplicity 4)  4 Cl 2.33-2.34
Au 0.1114 0.4984 0.8068 (multiplicity 8)  2 Cl 2.30
Cl 0.0388 0.2893 0.8775 (multiplicity 8)  1 Au 2.30
Cl 0.0624 0.2227 0.4274 (multiplicity 8)  1 Au 2.34
Cl 0.1814 0.0248 0.0687 (multiplicity 8)  1 Au 2.33
Cl 0.2066 0.2972 0.2471 (multiplicity 8)  1 Au 2.30

~~~~~

No. 1
This record from Materials Project describes crystalline Tb3Tm at its relaxed geometry. The functional is meta-GGA r2SCAN.

## Properties
formation enthalpy at 0 K: 0.041 eV/atom
excess energy over the best structure of this formula in the dataset: 2.7 meV per atom
calculated volume: 126.3 Å³/cell
crystal system: cubic

The structure in CIF format:
```
data_Tb3Tm
_cell_length_a 5.017
_cell_length_b 5.017
_cell_length_c 5.017
_cell_angle_alpha 90.00
_cell_angle_beta 90.00
_cell_angle_gamma 90.00
_space_group_name_H-M_alt 'P m -3 m'
_space_group_IT_number 221
_space_group_name_Hall '-P 4 2 3'
loop_
_atom_site_label
_atom_site_fract_x
_atom_site_fract_y
_atom_site_fract_z
Tb1 0.000 0.000 0.500
Tm1 0.500 0.500 0.500
```



No. 2
This record from Materials Project describes crystalline Tb3Tm at its relaxed geometry. The functional is meta-GGA r2SCAN.

## Properties
formation enthalpy at 0 K: 0.038 eV/atom
excess energy over the best structure of this formula in the dataset: 0.0 meV per atom
calculated volume: 252.2 Å³/cell
crystal system: tetragonal

The structure in CIF format:
```
data_Tb3Tm
_cell_length_a 5.013
_cell_length_b 5.013
_cell_length_c 10.035
_cell_angle_alpha 90.00
_cell_angle_beta 90.00
_cell_angle_gamma 90.00
_space_group_name_H-M_alt 'I 4/m m m'
_space_group_IT_number 139
_space_group_name_Hall '-I 4 2'
loop_
_atom_site_label
_atom_site_fract_x
_atom_site_fract_y
_atom_site_fract_z
Tb1 0.000 0.000 0.000
Tb2 0.000 0.500 0.250
Tm1 0.000 0.000 0.500
```



No. 3
This record from Materials Project describes crystalline Tb3Y at its relaxed geometry. The functional is meta-GGA r2SCAN.

## Properties
formation enthalpy at 0 K: 0.047 eV/atom
excess energy over the best structure of this formula in the dataset: 0.0 meV per atom
calculated volume: 258.6 Å³/cell
crystal system: tetragonal

The structure in CIF format:
```
data_Tb3Y
_cell_length_a 5.059
_cell_length_b 5.059
_cell_length_c 10.104
_cell_angle_alpha 90.00
_cell_angle_beta 90.00
_cell_angle_gamma 90.00
_space_group_name_H-M_alt 'I 4/m m m'
_space_group_IT_number 139
_space_group_name_Hall '-I 4 2'
loop_
_atom_site_label
_atom_site_fract_x
_atom_site_fract_y
_atom_site_fract_z
-- stop --

Provides Direction

Autocratic leadership can be effective in small groups where leadership is lacking. Have you ever worked with a group of students or co-workers on a project that got derailed by poor organization, a lack of leadership and an inability to set deadlines? If so, the chances are that your grade or job performance suffered as a result. In such situations, a strong leader who utilizes an autocratic style can take charge of the group, assign tasks to different members, and establish solid deadlines for projects to be finished. These types of group projects tend to work better when one person is either assigned the role of leader or simply takes on the job on their own. By setting clear roles, assigning tasks, and establishing deadlines, the group is more likely to finish the project on time and with everyone providing equal contributions.

Relieves Pressure

This leadership style can also be used well in cases where a great deal of pressure is involved. In situations that are particularly stressful, such as during military conflicts, group members may prefer an autocratic style. This allows members of the group to focus on performing specific tasks without worrying about making complex decisions. This also allows group members to become highly skilled at performing certain duties, which is ultimately beneficial to the success of the entire group.

Offers Structure

Manufacturing and construction work can also benefit from the autocratic style. In these situations, it is essential that each person have a clearly assigned task, a deadline, and rules to follow.


While autocratic leadership can be beneficial at times, there are also many instances where this leadership style can be problematic. People who abuse an autocratic leadership style are often viewed as bossy, controlling, and dictatorial. This can sometimes result in resentment among group members. Group members can end up feeling that they have no input or say in how things or done, and this can be particularly problematic when skilled and capable members of a team are left feeling that their knowledge and contributions are undermined. Some common problems with autocratic leadership:

Discourages Group Input

Because autocratic leaders make decisions without consulting the group, people in the group may dislike that they are unable to contribute ideas. Researchers have also found that autocratic leadership often results in a lack of creative solutions to problems, which can ultimately hurt the group from performing.

## What comes next are materials data, not part of the entry
~~~
[1]
EuClO2 | Materials Project | PBE | relaxed; formation energy from the elements = -1.6895 eV/atom; size of the total moment = 4.0 μB per formula unit; DFT total energy = -6.85 eV per atom
1.0
3.7726 0.0000 0.0000
0.0000 6.3897 0.0000
0.0000 2.8324 5.8487
O Cl Eu
4 2 2
Cartesian
0.9431 5.3981 3.3052 O
0.9431 1.2782 2.0098 O
2.8294 7.9438 3.8388 O
2.8294 3.8239 2.5434 O
0.9431 4.9033 0.3077 Cl
2.8294 4.3187 5.5410 Cl
2.8294 6.2528 2.2171 Eu
0.9431 2.9692 3.6316 Eu

[2]
Eu4Cl6O | Materials Project | PBE | relaxed; largest piezoelectric modulus = 0.17 C/m2; formation energy from the elements = -2.5572 eV/atom; DFT total energy = -7.68 eV per atom
1.0
4.7456 -8.2195 0.0000
4.7456 8.2195 0.0000
0.0000 0.0000 7.1939
Cl Eu O
12 8 2
Cartesian
2.8593 -3.8289 1.5456 Cl
6.6318 3.8289 5.1425 Cl
4.7456 -5.8829 6.4116 Cl
7.4675 1.1683 2.8147 Cl
7.4675 -1.1683 6.4116 Cl
4.7456 -0.5617 1.5456 Cl
2.0236 1.1683 2.8147 Cl
4.7456 0.5617 5.1425 Cl
6.6318 -3.8289 1.5456 Cl
2.0236 -1.1683 6.4116 Cl
2.8593 3.8289 5.1425 Cl
4.7456 5.8829 2.8147 Cl
4.7456 4.9804 0.0064 Eu
4.7456 2.7399 3.1185 Eu
4.7456 -4.9804 3.6034 Eu
6.6859 -1.6196 3.6034 Eu
2.8052 1.6196 0.0064 Eu
6.6859 1.6196 0.0064 Eu
4.7456 -2.7399 6.7154 Eu
2.8052 -1.6196 3.6034 Eu
4.7456 -2.7399 4.3638 O
4.7456 2.7399 0.7668 O

[3]
EuClO | Materials Project | PBE | relaxed; formation energy from the elements = -2.6933 eV/atom; DFT total energy = -8.15 eV per atom
1.0
-1.2831 2.6983 -2.7036
-3.5122 -1.9547 -0.2840
-2.5385 3.8307 5.0279
Eu O Cl
2 2 2
Cartesian
-3.8543 2.1889 4.0138 Eu
-1.0819 2.0136 -0.4797 Eu
0.0000 0.0000 0.0000 O
-2.3977 0.3718 -1.4938 O
-2.6965 0.4418 1.7207 Cl
-2.2396 3.7607 1.8134 Cl

[4]
EuSeClO3 | Materials Project | PBE | relaxed; formation energy from the elements = -2.0366 eV/atom; size of the total moment = 6.0 μB per formula unit; DFT total energy = -6.77 eV per atom
1.0
-6.5802 -1.7166 -2.4055
2.5806 -0.1793 -6.9311
1.9571 -8.8435 0.9574
O Se Cl Eu
12 4 4 4
Cartesian
-2.7031 -8.5461 -2.7299 O
0.5542 -0.7970 -2.5649 O
-0.2909 -9.3408 -4.9714 O
-4.5977 -6.6415 -2.6964 O
0.6605 -2.1933 -5.6494 O
-0.3722 -3.2674 -2.0578 O
2.5551 -4.0979 -5.6828 O
-2.2918 -6.0400 -1.8535 O
-2.5968 -9.9424 -5.8144 O
0.2492 -4.6995 -6.5258 O
-1.6704 -7.4720 -6.3214 O
-1.7517 -1.3986 -3.4079 O
-2.9539 -6.9234 -3.2018 Se
-0.8430 -1.6294 -1.9389 Se
0.9114 -3.8161 -5.1774 Se
-1.1996 -9.1101 -6.4404 Se
2.4112 -7.8496 -6.4017 Cl
0.8476 -6.5250 -3.0698 Cl
-4.4538 -2.8898 -1.9775 Cl
-2.8902 -4.2144 -5.3094 Cl
-1.7416 -5.5080 -7.5281 Eu
-0.3010 -5.2314 -0.8511 Eu
1.8082 -9.0215 -3.9161 Eu
-3.8508 -1.7179 -4.4632 Eu

[5]
Eu2SiCl2O3 | Materials Project | PBE | relaxed; formation energy from the elements = -3.0113 eV/atom; size of the total moment = 14.0 μB per formula unit; DFT total energy = -8.31 eV per atom
1.0
-5.6143 5.6143 4.8230
5.6143 -5.6143 4.8230
5.6143 5.6143 -4.8230
Eu Cl O Si
8 8 12 4
Cartesian
2.8037 6.5262 2.6334 Eu
4.7023 2.8037 2.6334 Eu
0.9119 2.8105 2.1896 Eu
8.4180 0.9119 2.1896 Eu
~~~

Hurts Morale

Autocratic leadership can also impair the morale of the group in some cases. People tend to feel happier and perform better when they feel like they are making contributions to the future of the group. Since autocratic leaders typically do not allow input from team members, followers start to feel dissatisfied and stifled.

How to Be Successful

The autocratic style can be beneficial in some settings, but also has its pitfalls and is not appropriate for every setting and with every group. If this tends to be your dominant leadership style, there are things that you should consider whenever you are in a leadership role.

Listen to Team Members

You might not change your mind or implement their advice, but subordinates need to feel that they can express their concerns. Autocratic leaders can sometimes make team members feel ignored or even rejected.

Establish Clear Rules

In order to expect team members to follow your rules, you need to first ensure that guidelines are clearly established and that each person on your team is fully aware of them.

Provide Tools

Once your subordinates understand the rules, you need to be sure that they actually have the education and abilities to perform the tasks you set before them. If they need additional assistance, offer oversight and training to fill in this knowledge gap.

Be Reliable

Inconsistent leaders can quickly lose the respect of their teams. Follow through and enforce the rules you have established. Establish that you are a reliable leader and your team is more likely to follow your guidance because you have built trust with them.

Recognize Success

Your team may quickly lose motivation if they are only criticized when they make mistakes but never rewarded for their successes. Try to recognize success more than you point out mistakes. By doing so, your team will respond much more favorably to your correction.

Calculated crystals, as found in the file:
=====
# InSi4H39C14O | the Materials Project database | PBE | optimized geometry
data_InSi4H39C14O
_chemical_formula_sum 'In2 Si8 H78 C28 O2'
_cell_length_a 9.927
_cell_length_b 12.431
_cell_length_c 12.876
_cell_angle_alpha 76.05
_cell_angle_beta 69.64
_cell_angle_gamma 66.80
_symmetry_space_group_name_H-M 'P 1'
_symmetry_Int_Tables_number 1
_symmetry_space_group_name_Hall 'P 1'
loop_
_atom_site_label
_atom_site_type_symbol
_atom_site_fract_x
_atom_site_fract_y
_atom_site_fract_z
In1 In 0.015 0.492 0.361
In2 In 0.985 0.508 0.639
Si1 Si 0.121 0.728 0.630
Si2 Si 0.178 0.273 0.795
Si3 Si 0.183 0.674 0.157
Si4 Si 0.245 0.212 0.293
Si5 Si 0.755 0.788 0.707
Si6 Si 0.817 0.326 0.843
Si7 Si 0.822 0.727 0.205
Si8 Si 0.879 0.272 0.370
H1 H 0.028 0.918 0.714
H2 H 0.030 0.891 0.486
H3 H 0.031 0.277 0.676
H4 H 0.045 0.360 0.218
H5 H 0.075 0.370 0.970
H6 H 0.108 0.118 0.949
H7 H 0.112 0.795 0.802
H8 H 0.113 0.876 0.048
H9 H 0.115 0.754 0.432
H10 H 0.129 0.884 0.178
H11 H 0.158 0.650 0.978
H12 H 0.160 0.459 0.856
H13 H 0.207 0.030 0.271
H14 H 0.210 0.058 0.821
H15 H 0.212 0.098 0.484
H16 H 0.230 0.850 0.680
H17 H 0.232 0.824 0.445
H18 H 0.234 0.509 0.050
H19 H 0.237 0.495 0.446
H20 H 0.255 0.114 0.139
H21 H 0.267 0.220 0.478
H22 H 0.277 0.328 0.917
H23 H 0.296 0.832 0.068
H24 H 0.308 0.086 0.898
H25 H 0.319 0.557 0.705
H26 H 0.329 0.651 0.291
H27 H 0.333 0.537 0.569
H28 H 0.352 0.597 0.978
H29 H 0.360 0.339 0.621
H30 H 0.366 0.510 0.256
H31 H 0.380 0.190 0.626
H32 H 0.383 0.316 0.120
H33 H 0.398 0.027 0.208
H34 H 0.402 0.641 0.586
H35 H 0.404 0.091 0.419
H36 H 0.405 0.344 0.242
H37 H 0.453 0.608 0.160
H38 H 0.457 0.228 0.712
H39 H 0.489 0.795 0.809
H40 H 0.511 0.205 0.191
H41 H 0.543 0.772 0.288
H42 H 0.547 0.392 0.840
H43 H 0.595 0.656 0.758
H44 H 0.596 0.909 0.581
H45 H 0.598 0.359 0.414
H46 H 0.602 0.973 0.792
H47 H 0.617 0.684 0.880
H48 H 0.620 0.810 0.374
H49 H 0.634 0.490 0.744
H50 H 0.640 0.661 0.379
H51 H 0.648 0.403 0.022
H52 H 0.667 0.463 0.431
H53 H 0.671 0.349 0.709
H54 H 0.681 0.443 0.295
H55 H 0.692 0.914 0.102
H56 H 0.704 0.168 0.932
H57 H 0.723 0.672 0.083
H58 H 0.733 0.780 0.522
H59 H 0.745 0.886 0.861
H60 H 0.763 0.505 0.554
H61 H 0.766 0.491 0.950
H62 H 0.768 0.176 0.555
H63 H 0.770 0.150 0.320
H64 H 0.788 0.902 0.516
H65 H 0.790 0.942 0.179
H66 H 0.793 0.970 0.729
H67 H 0.840 0.541 0.144
H68 H 0.842 0.350 0.022
H69 H 0.871 0.116 0.822
H70 H 0.885 0.246 0.568
H71 H 0.887 0.124 0.952
H72 H 0.888 0.205 0.198
H73 H 0.892 0.882 0.051
H74 H 0.925 0.630 0.030
H75 H 0.955 0.640 0.782
H76 H 0.969 0.723 0.324
H77 H 0.970 0.109 0.514
H78 H 0.972 0.082 0.286
C1 C 0.004 0.333 0.741
C2 C 0.047 0.326 0.305
C3 C 0.121 0.832 0.715
C4 C 0.124 0.806 0.485
C5 C 0.171 0.367 0.893
C6 C 0.179 0.831 0.108
C7 C 0.202 0.120 0.873
C8 C 0.236 0.600 0.030
C9 C 0.277 0.084 0.221
C10 C 0.285 0.150 0.432
C11 C 0.310 0.603 0.622
C12 C 0.347 0.604 0.223
C13 C 0.360 0.257 0.676
C14 C 0.399 0.276 0.203
C15 C 0.601 0.724 0.797
C16 C 0.640 0.743 0.324
C17 C 0.653 0.396 0.777
=====
The calculated crystals stop here:

A Word From Verywell

While autocratic leadership does have some potential pitfalls, leaders can learn to use elements of this style wisely. For example, an autocratic style can be used effectively in situations where the leader is the most knowledgeable member of the group or has access to information that other members of the group do not. Instead of wasting valuable time consulting with less knowledgeable team members, the expert leader can quickly make decisions that are in the best interest of the group. Autocratic leadership is often most effective when it is used for specific situations. Balancing this style with other approaches including democratic or transformational styles can often lead to better group performance.